........
Entry from Materials Project: a relaxed ZnAsO5 crystal (PBE).

Properties
As for the total magnetization: 3.0 μB/f.u. Its volume is 784 Å³ per cell. Its energy relative to the elements is -6.9 eV/f.u.

a = 6.5399 Å, b = 7.5083 Å, c = 16.0105 Å
α = 90.52°, β = 90.93°, γ = 93.84°
Last column: nearest neighbours and their distance in Å.
Space group P-1 (No. 2)
One atom of each set of equivalent atoms:
Zn 0.1215 0.3981 0.4307 [2 per cell]  6 O 2.02-2.19
Zn 0.1276 0.3536 0.0517 [2 per cell]  6 O 2.01-2.21
Zn 0.3741 0.1000 0.9304 [2 per cell]  6 O 2.02-2.18
Zn 0.3765 0.1481 0.5521 [2 per cell]  6 O 2.01-2.21
As 0.1201 0.8407 0.4064 [2 per cell]  4 O 1.72-1.75
As 0.1251 0.9160 0.1093 [2 per cell]  4 O 1.73-1.74
As 0.3728 0.6572 0.9065 [2 per cell]  4 O 1.73-1.75
As 0.3832 0.5866 0.6091 [2 per cell]  4 O 1.73-1.74
O 0.0233 0.2672 0.3248 [2 per cell]  1 Zn 2.03, 2 O 2.21
O 0.0349 0.9744 0.3260 [2 per cell]  1 As 1.75
O 0.0660 0.1326 0.1348 [2 per cell]  1 As 1.74
O 0.0806 0.1877 0.5241 [2 per cell]  1 As 1.74
O 0.0883 0.1836 0.9418 [2 per cell]  1 As 1.73
O 0.1605 0.5701 0.9590 [2 per cell]  1 As 1.73
O 0.1738 0.5624 0.5410 [2 per cell]  1 As 1.74
O 0.1789 0.6348 0.3647 [2 per cell]  1 As 1.75
O 0.2032 0.7834 0.1910 [2 per cell]  1 As 1.74
O 0.2196 0.4903 0.1604 [2 per cell]  1 Zn 2.07, 2 O 2.16-2.26
O 0.2936 0.0161 0.6611 [2 per cell]  1 Zn 2.08, 2 O 2.17-2.27
O 0.3094 0.8608 0.8650 [2 per cell]  1 As 1.75
O 0.3120 0.7219 0.6909 [2 per cell]  1 As 1.74
O 0.3291 0.9383 0.0411 [2 per cell]  1 As 1.74
O 0.3365 0.9298 0.4585 [2 per cell]  1 As 1.72
O 0.4077 0.3153 0.4420 [2 per cell]  1 As 1.73
O 0.4210 0.3123 0.0240 [2 per cell]  1 As 1.74
O 0.4458 0.3713 0.6345 [2 per cell]  1 As 1.74
O 0.4518 0.5188 0.8266 [2 per cell]  1 As 1.75
O 0.4620 0.2242 0.8235 [2 per cell]  1 Zn 2.03, 2 O 2.21-2.22

* * * * *

LiCe2Ga PBE optimized geometry; symmetry = Fm-3m (225); E = -4.337 eV per atom; energy of formation from the pure elements = -0.136 eV per atom
1.0
0.000 3.641 3.641
3.641 0.000 3.641
3.641 3.641 0.000
Li Ce Ga
1 2 1
Direct
0.000 0.000 0.000 Li
0.750 0.750 0.750 Ce
0.250 0.250 0.250 Ce
0.500 0.500 0.500 Ga
........
The reader should return the notes further up with every line break kept.
Entry from Materials Project: a relaxed ZnAsO5 crystal (PBE).

Properties
As for the total magnetization: 3.0 μB/f.u. Its volume is 784 Å³ per cell. Its energy relative to the elements is -6.9 eV/f.u.

a = 6.5399 Å, b = 7.5083 Å, c = 16.0105 Å
α = 90.52°, β = 90.93°, γ = 93.84°
Last column: nearest neighbours and their distance in Å.
Space group P-1 (No. 2)
One atom of each set of equivalent atoms:
Zn 0.1215 0.3981 0.4307 [2 per cell]  6 O 2.02-2.19
Zn 0.1276 0.3536 0.0517 [2 per cell]  6 O 2.01-2.21
Zn 0.3741 0.1000 0.9304 [2 per cell]  6 O 2.02-2.18
Zn 0.3765 0.1481 0.5521 [2 per cell]  6 O 2.01-2.21
As 0.1201 0.8407 0.4064 [2 per cell]  4 O 1.72-1.75
As 0.1251 0.9160 0.1093 [2 per cell]  4 O 1.73-1.74
As 0.3728 0.6572 0.9065 [2 per cell]  4 O 1.73-1.75
As 0.3832 0.5866 0.6091 [2 per cell]  4 O 1.73-1.74
O 0.0233 0.2672 0.3248 [2 per cell]  1 Zn 2.03, 2 O 2.21
O 0.0349 0.9744 0.3260 [2 per cell]  1 As 1.75
O 0.0660 0.1326 0.1348 [2 per cell]  1 As 1.74
O 0.0806 0.1877 0.5241 [2 per cell]  1 As 1.74
O 0.0883 0.1836 0.9418 [2 per cell]  1 As 1.73
O 0.1605 0.5701 0.9590 [2 per cell]  1 As 1.73
O 0.1738 0.5624 0.5410 [2 per cell]  1 As 1.74
O 0.1789 0.6348 0.3647 [2 per cell]  1 As 1.75
O 0.2032 0.7834 0.1910 [2 per cell]  1 As 1.74
O 0.2196 0.4903 0.1604 [2 per cell]  1 Zn 2.07, 2 O 2.16-2.26
O 0.2936 0.0161 0.6611 [2 per cell]  1 Zn 2.08, 2 O 2.17-2.27
O 0.3094 0.8608 0.8650 [2 per cell]  1 As 1.75
O 0.3120 0.7219 0.6909 [2 per cell]  1 As 1.74
O 0.3291 0.9383 0.0411 [2 per cell]  1 As 1.74
O 0.3365 0.9298 0.4585 [2 per cell]  1 As 1.72
O 0.4077 0.3153 0.4420 [2 per cell]  1 As 1.73
O 0.4210 0.3123 0.0240 [2 per cell]  1 As 1.74
O 0.4458 0.3713 0.6345 [2 per cell]  1 As 1.74
O 0.4518 0.5188 0.8266 [2 per cell]  1 As 1.75
O 0.4620 0.2242 0.8235 [2 per cell]  1 Zn 2.03, 2 O 2.21-2.22

* * * * *

LiCe2Ga PBE optimized geometry; symmetry = Fm-3m (225); E = -4.337 eV per atom; energy of formation from the pure elements = -0.136 eV per atom
1.0
0.000 3.641 3.641
3.641 0.000 3.641
3.641 3.641 0.000
Li Ce Ga
1 2 1
Direct
0.000 0.000 0.000 Li
0.750 0.750 0.750 Ce
0.250 0.250 0.250 Ce
0.500 0.500 0.500 Ga